┌──
1.
C30H50BrN3OP2Sn | wB97M-V/def2-TZVPD

Geometry as XYZ:
```
88
Properties=species:S:1:pos:R:3:forces:R:3
C -3.976375 -0.530173 -1.518105 -0.937 -0.171 -0.260
C -3.254116 -1.419741 -0.686046 -0.883 -0.143 1.210
C -3.065651 -2.752187 -1.128090 -0.534 -0.612 -0.068
C -3.761614 -3.177376 -2.258791 0.486 0.051 -0.124
N -4.513511 -2.344467 -2.992492 -0.249 0.079 0.472
C -4.637609 -1.057490 -2.631024 0.594 0.131 -0.024
C -2.875251 -1.043716 0.624620 3.502 1.054 -3.829
C -1.890834 -0.554568 1.310228 -0.672 -0.328 1.624
C -1.836461 -0.456381 2.776670 0.483 0.282 0.012
C -0.682523 -0.059938 3.450128 0.051 -0.036 0.250
C -0.666967 0.093719 4.831172 0.028 0.052 -0.561
C -1.866096 -0.075403 5.521151 0.073 0.160 1.020
C -3.025631 -0.542113 4.891425 0.256 -0.012 -0.514
C -2.987459 -0.744424 3.513656 -0.232 0.050 0.249
Sn 0.178752 0.220988 0.431671 -1.330 0.459 -0.890
P 0.288803 -0.102541 -2.325440 -0.072 0.265 -2.129
H -2.442022 -3.454548 -0.577583 -0.340 0.113 0.115
H -4.057906 0.525484 -1.288103 -0.211 -0.105 0.244
H -3.716407 -4.227189 -2.581379 0.008 0.541 0.040
H -5.288910 -0.424187 -3.243468 0.318 -0.276 0.115
H -3.852308 -1.089656 2.944767 -0.082 0.082 0.474
H 0.247540 0.162341 2.903671 -0.082 -0.020 0.148
H -3.931938 -0.725695 5.458733 0.108 0.055 -0.051
H 0.247299 0.376648 5.348101 -0.285 0.046 -0.019
C 1.920819 0.394575 -3.046862 0.357 0.493 1.070
C 2.354181 -0.194226 -4.386918 -0.118 -0.327 -0.485
H 2.673124 0.140339 -2.281864 -0.050 0.172 -0.203
H 1.909096 1.493116 -3.116912 -0.022 -0.267 0.146
H 3.354345 0.196873 -4.613320 -0.205 -0.077 0.129
H 2.432442 -1.288346 -4.369618 -0.032 0.256 -0.002
H 1.705453 0.104018 -5.220688 0.166 -0.125 0.334
C 0.026638 -1.837646 -2.908618 0.130 -0.551 1.239
C -0.529729 -2.072243 -4.312622 -0.182 0.193 -0.544
H -0.654911 -2.298434 -2.174658 0.195 -0.030 -0.185
H 0.997889 -2.346167 -2.803729 -0.229 0.132 0.045
H -0.577805 -3.156735 -4.479816 0.039 0.232 0.138
H -1.552060 -1.688172 -4.434428 0.313 -0.042 0.046
H 0.105229 -1.661510 -5.109830 -0.222 -0.112 0.351
C -0.970696 0.881950 -3.242948 -0.594 0.355 0.939
C -0.686884 1.290710 -4.687764 0.234 -0.015 -0.506
H -1.156056 1.785906 -2.640137 -0.016 -0.214 -0.163
H -1.897243 0.290882 -3.197235 0.163 0.097 0.072
H -1.532133 1.898833 -5.036082 0.182 -0.115 0.155
H 0.215955 1.906241 -4.795951 -0.234 -0.171 0.085
H -0.616646 0.436521 -5.374574 0.020 0.288 0.304
Br -1.867980 0.409069 7.364128 -0.151 -0.374 -0.753
P 1.876808 -1.792240 1.143136 0.359 0.209 1.010
C 2.695132 -2.607119 -0.262873 -0.717 0.322 -0.871
C 4.027533 -3.254746 0.100210 0.549 -0.167 0.501
H 2.828971 -1.835034 -1.041627 0.102 -0.233 0.222
H 1.998171 -3.349636 -0.685263 0.080 0.215 0.217
H 4.465465 -3.714668 -0.792162 -0.177 0.140 0.067
H 4.747796 -2.518017 0.475296 -0.123 -0.195 -0.090
H 3.913503 -4.050642 0.847480 0.012 0.245 -0.201
C 3.082413 -0.925813 2.207641 0.005 0.606 -0.169
C 3.643590 -1.758334 3.353264 0.121 -0.473 0.339
H 2.563034 -0.033088 2.596844 0.189 -0.269 -0.017
H 3.896270 -0.548330 1.567281 -0.283 -0.109 0.014
H 4.330562 -1.142181 3.944150 -0.140 -0.057 -0.164
H 2.854576 -2.106854 4.030477 0.177 0.044 -0.132
H 4.213736 -2.623949 2.993584 -0.152 0.206 0.105
C 0.836419 -2.966543 2.084890 -0.702 0.466 0.052
C 1.426939 -4.366670 2.222802 0.471 -0.431 -0.112
H -0.131203 -3.007492 1.556832 0.188 -0.054 0.088
H 0.613013 -2.536100 3.074263 0.177 0.090 -0.329
H 0.730175 -4.997505 2.786655 0.048 0.214 -0.117
H 1.579189 -4.839789 1.245809 0.005 0.033 0.229
H 2.375524 -4.366020 2.773981 -0.237 0.014 -0.164
C -0.990328 3.186157 2.926376 -0.033 -0.508 0.413
N -0.578019 4.134852 1.904054 0.531 -0.813 -1.143
C -0.688117 5.542467 2.246287 -0.179 1.140 0.167
C -0.037232 3.625351 0.774186 -0.382 1.674 0.187
O 0.137893 2.345494 0.766475 0.394 -3.634 -0.236
N 0.330869 4.330425 -0.316253 -0.241 -1.087 0.777
C 0.191677 5.765504 -0.480019 -0.145 1.183 -0.039
C 0.840512 3.662399 -1.509648 0.111 -0.037 -0.131
H -1.465078 3.726627 3.749264 0.110 -0.143 -0.272
└──

Duplicate the entries earlier on from the line with "2.786655 0.048" to the end character by character.

H 0.730175 -4.997505 2.786655 0.048 0.214 -0.117
H 1.579189 -4.839789 1.245809 0.005 0.033 0.229
H 2.375524 -4.366020 2.773981 -0.237 0.014 -0.164
C -0.990328 3.186157 2.926376 -0.033 -0.508 0.413
N -0.578019 4.134852 1.904054 0.531 -0.813 -1.143
C -0.688117 5.542467 2.246287 -0.179 1.140 0.167
C -0.037232 3.625351 0.774186 -0.382 1.674 0.187
O 0.137893 2.345494 0.766475 0.394 -3.634 -0.236
N 0.330869 4.330425 -0.316253 -0.241 -1.087 0.777
C 0.191677 5.765504 -0.480019 -0.145 1.183 -0.039
C 0.840512 3.662399 -1.509648 0.111 -0.037 -0.131
H -1.465078 3.726627 3.749264 0.110 -0.143 -0.272